Brief:
Start at the top of the listing underneath and write out each line, ending with the one that has "-0.55".

Given:
********
1.
DFT (ωB97M-V/def2-TZVPD) results for C5H10S in the gas phase in a non-equilibrium geometry.

```
16
Properties=species:S:1:pos:R:3
C 0.61 2.41 0.44
C 1.31 1.05 0.16
C 0.48 0.01 0.94
C 0.82 -1.38 0.60
C -0.53 -0.94 0.41
S -1.26 -0.72 -1.21
H 0.99 3.12 1.21
H -0.39 2.11 0.66
H 0.74 3.07 -0.50
H 1.29 0.81 -0.96
H 2.38 1.04 0.55
H 0.38 0.32 1.95
H 1.16 -2.19 1.27
H 1.40 -1.45 -0.27
H -1.34 -1.15 1.09
H -2.49 -1.10 -0.81
```

Calculated values
- structure (SMILES) = CC[C@@H]1C[C@@H]1S
- HOMO energy (eV) = -8.766

Just the Mulliken charges please, in e? Sure, here they are:
1 C -1.125
2 C -0.265
3 C -0.402
4 C -0.942
5 C 0.068
6 S -0.240
7 H 0.283
8 H 0.354
9 H 0.268
10 H 0.277
11 H 0.253
12 H 0.477
13 H 0.254
14 H 0.276
15 H 0.350
16 H 0.115

=====

2.
DFT (ωB97M-V/def2-TZVPD) results for CH2N4O in the gas phase in a non-equilibrium geometry.

```
8
Properties=species:S:1:pos:R:3
H 2.29 -0.07 0.66
N 1.90 -0.56 -0.11
C 0.71 -0.27 -0.18
N -0.25 -0.60 -1.18
N -1.38 -0.16 -0.91
N -1.28 0.70 0.18
O 0.04 0.54 0.69
H -2.01 0.43 0.86
```

Calculated values
- structure (SMILES) = [H]/N=c1/nn[nH]o1
- HOMO energy (eV) = -10.183

Just the Mulliken charges please, in e? Sure, here they are:
1 H 0.270
2 N -0.571
3 C 0.603
4 N -0.188
5 N -0.168
6 N 0.026
7 O -0.260
8 H 0.286

=====

Respective ΔE to the lowest compared entry with this formula, charge and spin values: 41.6, 55.5 kcal per mole.
Respective LUMO values: 0.9, -0.2 eV.
Respective Kohn-Sham gap values: 9.633, 9.983 eV.


Entry 1:
C17H21N4O5S | the ωB97M-V functional and the def2-TZVPD basis

Each line ends with the Mulliken charge.
Cartesian coordinates (Å):
N (-0.26480, -3.12408, 3.52122)  -0.24
C (-0.98859, -2.36690, 3.13464)  0.40
O (-1.63419, -1.37277, 2.53662)  -0.20
S (-1.56663, 0.04492, 3.42489)  0.28
C (-0.25440, -0.01787, 4.66497)  -0.80
C (1.21837, 0.15643, 4.13389)  -0.50
C (1.41043, 0.05947, 2.58662)  -0.56
C (2.88653, -0.44118, 2.34144)  -0.71
N (3.08830, -0.91666, 0.95064)  -0.57
H (-1.18963, 1.06659, 2.56616)  0.31
H (-0.46325, 0.83153, 5.35332)  0.48
H (-0.29066, -0.92337, 5.29780)  0.45
H (1.57089, 1.15966, 4.43442)  0.41
H (1.84670, -0.60242, 4.62713)  0.36
H (1.37464, 1.07552, 2.15667)  0.31
H (0.76441, -0.67915, 2.07758)  0.47
H (3.10160, -1.30579, 3.00288)  0.29
H (3.54749, 0.40245, 2.60777)  0.35
H (3.77207, -0.29375, 0.52020)  0.32
H (2.21845, -0.76889, 0.44002)  0.21
C (2.43454, -1.44006, -5.22801)  -0.40
C (1.99287, -1.12977, -3.94818)  -0.46
C (2.87902, -0.61768, -3.01346)  -0.09
C (4.20198, -0.41725, -3.37369)  0.08
C (4.65561, -0.72971, -4.64502)  -0.33
C (3.76472, -1.24423, -5.57453)  -0.47
N (5.14018, 0.14773, -2.39578)  0.97
O (4.71895, 0.39681, -1.27473)  -0.67
O (6.28124, 0.33978, -2.75520)  -0.57
H (1.73895, -1.83506, -5.95838)  0.38
H (0.95542, -1.28491, -3.68079)  0.36
H (2.52891, -0.37819, -2.01945)  0.29
H (5.68952, -0.57686, -4.92250)  0.45
H (4.10664, -1.48954, -6.57149)  0.38
C (-6.56705, 0.11874, -0.42876)  -0.44
C (-6.59660, 1.30512, -1.14960)  -0.50
C (-5.51993, 2.17810, -1.09669)  -0.34
C (-4.41994, 1.84844, -0.32201)  -0.03
C (-4.38339, 0.66977, 0.40730)  0.16
C (-5.46261, -0.19710, 0.35291)  -0.41
N (-3.26801, 2.75974, -0.28435)  1.01
O (-3.33957, 3.78545, -0.91776)  -0.55
O (-2.29347, 2.42793, 0.38372)  -0.65
H (-7.40704, -0.56310, -0.47663)  0.39
H (-7.45882, 1.54877, -1.75622)  0.39
H (-5.55016, 3.10011, -1.66098)  0.46
H (-3.52583, 0.41470, 1.01539)  0.16
H (-5.44386, -1.12150, 0.91603)  0.37

ΔE to the lowest compared entry with this formula, charge and spin	0.00	kJ/mol
total charge	+1
energy	-1653.21352	hartree
HOMO energy	-11.887	eV
F_max	0.096	hartree/bohr



Entry 2:
C6H12N2O2 | the ωB97M-V functional and the def2-TZVPD basis

Each line ends with the Mulliken charge.
Cartesian coordinates (Å):
C (1.00034, -1.22640, -0.38286)  -0.92
C (-1.24706, -1.92716, -0.16360)  0.82
N (1.66811, -1.33619, 0.88774)  -0.45
O (-1.34182, -1.90787, 1.01748)  -0.48
O (-1.65399, -2.04890, -1.26076)  -0.43
********

Written answer:
1.
DFT (ωB97M-V/def2-TZVPD) results for C5H10S in the gas phase in a non-equilibrium geometry.

```
16
Properties=species:S:1:pos:R:3
C 0.61 2.41 0.44
C 1.31 1.05 0.16
C 0.48 0.01 0.94
C 0.82 -1.38 0.60
C -0.53 -0.94 0.41
S -1.26 -0.72 -1.21
H 0.99 3.12 1.21
H -0.39 2.11 0.66
H 0.74 3.07 -0.50
H 1.29 0.81 -0.96
H 2.38 1.04 0.55
H 0.38 0.32 1.95
H 1.16 -2.19 1.27
H 1.40 -1.45 -0.27
H -1.34 -1.15 1.09
H -2.49 -1.10 -0.81
```

Calculated values
- structure (SMILES) = CC[C@@H]1C[C@@H]1S
- HOMO energy (eV) = -8.766

Just the Mulliken charges please, in e? Sure, here they are:
1 C -1.125
2 C -0.265
3 C -0.402
4 C -0.942
5 C 0.068
6 S -0.240
7 H 0.283
8 H 0.354
9 H 0.268
10 H 0.277
11 H 0.253
12 H 0.477
13 H 0.254
14 H 0.276
15 H 0.350
16 H 0.115

=====

2.
DFT (ωB97M-V/def2-TZVPD) results for CH2N4O in the gas phase in a non-equilibrium geometry.

```
8
Properties=species:S:1:pos:R:3
H 2.29 -0.07 0.66
N 1.90 -0.56 -0.11
C 0.71 -0.27 -0.18
N -0.25 -0.60 -1.18
N -1.38 -0.16 -0.91
N -1.28 0.70 0.18
O 0.04 0.54 0.69
H -2.01 0.43 0.86
```

Calculated values
- structure (SMILES) = [H]/N=c1/nn[nH]o1
- HOMO energy (eV) = -10.183

Just the Mulliken charges please, in e? Sure, here they are:
1 H 0.270
2 N -0.571
3 C 0.603
4 N -0.188
5 N -0.168
6 N 0.026
7 O -0.260
8 H 0.286

=====

Respective ΔE to the lowest compared entry with this formula, charge and spin values: 41.6, 55.5 kcal per mole.
Respective LUMO values: 0.9, -0.2 eV.
Respective Kohn-Sham gap values: 9.633, 9.983 eV.


Entry 1:
C17H21N4O5S | the ωB97M-V functional and the def2-TZVPD basis

Each line ends with the Mulliken charge.
Cartesian coordinates (Å):
N (-0.26480, -3.12408, 3.52122)  -0.24
C (-0.98859, -2.36690, 3.13464)  0.40
O (-1.63419, -1.37277, 2.53662)  -0.20
S (-1.56663, 0.04492, 3.42489)  0.28
C (-0.25440, -0.01787, 4.66497)  -0.80
C (1.21837, 0.15643, 4.13389)  -0.50
C (1.41043, 0.05947, 2.58662)  -0.56
C (2.88653, -0.44118, 2.34144)  -0.71
N (3.08830, -0.91666, 0.95064)  -0.57
H (-1.18963, 1.06659, 2.56616)  0.31
H (-0.46325, 0.83153, 5.35332)  0.48
H (-0.29066, -0.92337, 5.29780)  0.45
H (1.57089, 1.15966, 4.43442)  0.41
H (1.84670, -0.60242, 4.62713)  0.36
H (1.37464, 1.07552, 2.15667)  0.31
H (0.76441, -0.67915, 2.07758)  0.47
H (3.10160, -1.30579, 3.00288)  0.29
H (3.54749, 0.40245, 2.60777)  0.35
H (3.77207, -0.29375, 0.52020)  0.32
H (2.21845, -0.76889, 0.44002)  0.21
C (2.43454, -1.44006, -5.22801)  -0.40
C (1.99287, -1.12977, -3.94818)  -0.46
C (2.87902, -0.61768, -3.01346)  -0.09
C (4.20198, -0.41725, -3.37369)  0.08
C (4.65561, -0.72971, -4.64502)  -0.33
C (3.76472, -1.24423, -5.57453)  -0.47
N (5.14018, 0.14773, -2.39578)  0.97
O (4.71895, 0.39681, -1.27473)  -0.67
O (6.28124, 0.33978, -2.75520)  -0.57
H (1.73895, -1.83506, -5.95838)  0.38
H (0.95542, -1.28491, -3.68079)  0.36
H (2.52891, -0.37819, -2.01945)  0.29
H (5.68952, -0.57686, -4.92250)  0.45
H (4.10664, -1.48954, -6.57149)  0.38
C (-6.56705, 0.11874, -0.42876)  -0.44
C (-6.59660, 1.30512, -1.14960)  -0.50
C (-5.51993, 2.17810, -1.09669)  -0.34
C (-4.41994, 1.84844, -0.32201)  -0.03
C (-4.38339, 0.66977, 0.40730)  0.16
C (-5.46261, -0.19710, 0.35291)  -0.41
N (-3.26801, 2.75974, -0.28435)  1.01
O (-3.33957, 3.78545, -0.91776)  -0.55